Count the lines underneath that contain the word "C1" and give the number alone.

........
Version i
Here is a cluster of 2 separate species, C3H10N3O in total from the OMol25 dataset. Energies are from ωB97M-V/def2-TZVPD.

Last column: natural (NBO) charge in e.
Cartesian coordinates (Å):
N -2.105 -1.335 -0.345  -0.866
C -1.840 -1.443 0.999  0.271
N -1.778 -0.423 1.763  -0.722
H -2.572 -0.484 -0.630  0.405
H -2.377 -2.173 -0.830  0.419
H -1.689 -2.465 1.352  0.175
H -1.892 -0.769 2.713  0.370
O 2.777 0.848 -1.078  -0.497
C 2.245 1.206 -0.062  0.422
C 0.770 0.897 0.129  -0.346
N 0.240 0.357 -1.165  -0.705
H 2.771 1.768 0.722  0.175
H 0.568 0.169 0.912  0.276
H 0.223 1.803 0.389  0.259
H -0.107 1.059 -1.813  0.441
H 1.063 -0.077 -1.614  0.458
H -0.488 -0.379 -1.003  0.465

Output
Total charge: +1
Highest occupied orbital energy in eV: -13.62
Gap between HOMO and LUMO in eV: 10.27

Version ii
Here is a cluster of 2 separate species, C3H10N3O in total from the OMol25 dataset. Energies are from ωB97M-V/def2-TZVPD.

Last column: natural (NBO) charge in e.
Cartesian coordinates (Å):
C 2.735 0.202 0.667  -0.431
C 1.616 -0.418 -1.404  0.127
N 1.898 0.439 -0.515  -0.359
H 2.078 0.349 1.526  0.268
H 3.544 0.927 0.649  0.248
H 3.101 -0.820 0.660  0.235
H 1.995 -1.429 -1.322  0.226
H 0.995 -0.156 -2.251  0.233
H 1.404 1.330 -0.543  0.446
N -1.967 -1.104 -0.441  -0.838
C -1.520 -0.097 0.383  0.773
N -2.116 1.138 0.078  -0.859
O -0.689 -0.213 1.256  -0.661
H -2.304 -0.812 -1.341  0.397
H -1.468 -1.971 -0.400  0.402
H -3.103 1.045 -0.132  0.392
H -2.029 1.744 0.889  0.400

Output
Total charge: +1
Highest occupied orbital energy in eV: -13.76
Gap between HOMO and LUMO in eV: 8.78

Quick one: least stable of them? version i

Version i
Here is the molecule C15H22N2O4 from the OMol25 dataset. Energies are from ωB97M-V/def2-TZVPD.

Last column: natural (NBO) charge in e.
Cartesian coordinates (Å):
O 0.157 0.543 1.568  -0.657
C -0.347 -0.189 0.719  0.684
N 0.395 -0.909 -0.127  -0.604
C 1.861 -0.955 -0.152  -0.138
C 2.372 -1.780 1.057  -0.062
O 3.786 -1.820 1.136  -0.738
C 2.308 -1.525 -1.524  0.643
O 1.575 -2.369 -2.059  -0.632
N 3.434 -1.034 -2.106  -0.148
C 4.535 -0.313 -1.474  -0.234
C 5.126 0.331 -2.706  -0.436
C 4.993 -0.772 -3.746  -0.077
O 3.776 -1.436 -3.414  -0.331
C -1.872 -0.243 0.515  -0.295
C -2.711 0.014 1.794  -0.414
C -3.657 0.790 0.873  0.104
C -2.458 1.083 -0.027  -0.389
C -5.035 0.469 0.499  -0.241
C -4.751 1.784 1.250  -0.554
C -5.893 2.211 2.182  -0.261
C -4.519 2.555 2.559  -0.257
H -0.018 -1.470 -0.862  0.427
H 2.186 0.080 -0.059  0.221
H 2.011 -1.347 1.992  0.191
H 1.989 -2.802 1.015  0.170
H 4.033 -2.310 1.926  0.478
H 4.236 0.418 -0.722  0.234
H 5.219 -1.034 -1.020  0.209
H 4.544 1.206 -3.000  0.214
H 6.154 0.663 -2.555  0.225
H 4.963 -0.385 -4.766  0.201
H 5.816 -1.487 -3.682  0.174
H -2.177 -1.119 -0.062  0.217
H -3.137 -0.853 2.299  0.204
H -2.244 0.663 2.539  0.237
H -1.938 1.993 0.285  0.233
H -2.665 1.149 -1.095  0.208
H -5.286 0.479 -0.562  0.208
H -5.514 -0.370 1.005  0.187
H -6.564 3.004 1.845  0.210
H -6.422 1.450 2.758  0.185
H -4.068 2.045 3.411  0.190
H -4.193 3.593 2.491  0.211

Output
Highest occupied orbital energy in eV: -6.22
Gap between HOMO and LUMO in eV: 6.84
Structure (SMILES): O=C([C@H](CO)NC(=O)[C@H]1C[C@@]2(C1)C[C@]21CC1)N1CCCO1

Version ii
Here is the molecule C15H22N2O4 from the OMol25 dataset. Energies are from ωB97M-V/def2-TZVPD.

Last column: natural (NBO) charge in e.
Cartesian coordinates (Å):
O 0.108 -1.502 0.492  -0.650
C -0.329 -0.380 0.698  0.682
N -1.032 0.300 -0.243  -0.610
C -1.264 -0.260 -1.558  -0.150
C -2.450 -1.224 -1.500  -0.063
O -2.629 -1.777 -2.798  -0.738
C -1.571 0.927 -2.476  0.650
O -2.172 1.895 -2.046  -0.622
N -1.067 0.854 -3.725  -0.150
C -0.600 -0.264 -4.525  -0.232
C 0.038 0.468 -5.695  -0.435
C -0.955 1.603 -5.879  -0.079
O -1.416 1.938 -4.565  -0.342
C -0.090 0.357 1.988  -0.291
C -0.044 -0.483 3.284  -0.390
C 1.178 0.323 3.710  -0.047
C 1.379 0.786 2.265  -0.376
C 1.427 1.245 4.859  -0.378
C 2.269 0.025 4.662  -0.078
C 2.253 -1.279 5.385  -0.407
........

1